== Wanted ==
Reproduce everything below exactly.

== Listing ==
- - -
For ZnSi2Au, a DFT-relaxed cell (PBE, Alexandria) gives the computed PXRD pattern in this record (a wavelength of 1.5418 Å).
Lines closer than 0.1° are merged.

Structure:
```
ZnSi2Au
1.0
4.0045 0.0000 0.0000
0.0000 4.1342 0.0000
0.0000 0.0000 7.6454
Zn Si Au
2 4 2
Direct
0.0000 0.0000 0.0000 Zn
0.5000 0.5000 0.0000 Zn
0.0000 0.0000 0.5093 Si
0.0000 0.5000 0.7568 Si
0.5000 0.0000 0.7568 Si
0.5000 0.5000 0.5093 Si
0.0000 0.5000 0.2567 Au
0.5000 0.0000 0.2567 Au
```

Principal peaks in the range 2θ from 15° to 90°, most intense first:
Position (°2θ), intensity
39.2, 100
33.3, 46
43.8, 18
45.3, 17
47.7, 15
47.6, 14

=====

For Zr4Pb, a DFT-relaxed cell (PBE, Alexandria) gives the computed PXRD pattern in this record (a wavelength of 1.5418 Å).
Lines closer than 0.1° are merged.

Structure:
```
Zr4Pb
1.0
-2.4841 3.0858 7.5035
2.4841 -3.0858 7.5035
2.4841 3.0858 -7.5035
Zr Pb
8 2
Direct
0.0000 0.0000 0.0000 Zr
0.2051 0.1974 0.0078 Zr
0.3104 0.8026 0.5078 Zr
0.3511 0.6011 0.7500 Zr
0.5000 0.0000 0.5000 Zr
0.6489 0.3989 0.2500 Zr
0.6896 0.1974 0.4922 Zr
0.7949 0.8026 0.9922 Zr
0.1405 0.3905 0.7500 Pb
0.8595 0.6095 0.2500 Pb
```

Principal peaks in the range 2θ from 15° to 90°, most intense first:
Position (°2θ), intensity
34.9, 100
34.7, 94
36.2, 47
37.7, 41
53.3, 30
71.3, 24

=====

For Cs2Rb6I, a DFT-relaxed cell (PBE, Alexandria) gives the computed PXRD pattern in this record (a wavelength of 1.5418 Å).
Lines closer than 0.1° are merged.

Structure:
```
Cs2Rb6I
1.0
5.1359 0.0000 0.0000
-2.5680 4.4478 0.0000
0.0000 0.0000 34.6113
Cs Rb I
2 6 1
Direct
0.0000 0.0000 0.1912 Cs
0.0000 0.0000 0.8088 Cs
0.0000 0.0000 0.4335 Rb
0.0000 0.0000 0.5665 Rb
0.6667 0.3333 0.0667 Rb
0.6667 0.3333 0.3156 Rb
0.6667 0.3333 0.6844 Rb
0.6667 0.3333 0.9333 Rb
0.6667 0.3333 0.5000 I
```

Principal peaks in the range 2θ from 15° to 90°, most intense first:
Position (°2θ), intensity
23.8, 100
34.9, 63
20.0, 43
21.4, 41
20.6, 38
40.9, 28

=====

(1)
# Li7Ti11O24
Simulated powder diffraction line list, a wavelength of 1.5418 Å. Input: a crystal structure in Alexandria, relaxed with PBE.
Peak positions follow from Bragg's law for the DFT cell and can differ from measured ones.

Cell and atoms:
a b c (Å): 5.081 8.866 9.734
angles (deg): 90.00 90.28 90.00
Sites, in units of the cell vectors:
Li (0.000, 0.000, 0.000)
Li (0.001, 0.332, 0.996)
Li (0.001, 0.668, 0.996)
Li (0.377, 0.340, 0.503)
Li (0.377, 0.660, 0.503)
Li (0.384, 0.000, 0.500)
Li (0.919, 0.500, 0.613)
Ti (0.417, 0.000, 0.823)
Ti (0.426, 0.335, 0.818)
Ti (0.426, 0.665, 0.818)
Ti (0.456, 0.500, 0.106)
Ti (0.462, 0.169, 0.106)
Ti (0.462, 0.831, 0.106)
Ti (0.919, 0.176, 0.605)
Ti (0.919, 0.824, 0.605)
Ti (0.953, 0.337, 0.331)
Ti (0.953, 0.663, 0.331)
Ti (0.957, 0.000, 0.324)
O (0.154, 0.000, 0.675)
O (0.156, 0.168, 0.426)
O (0.156, 0.832, 0.426)
O (0.161, 0.318, 0.679)
O (0.161, 0.500, 0.413)
O (0.161, 0.682, 0.679)
O (0.226, 0.331, 0.173)
O (0.226, 0.669, 0.173)
O (0.229, 0.165, 0.928)
O (0.229, 0.500, 0.926)
O (0.229, 0.835, 0.928)
O (0.232, 0.000, 0.179)
O (0.611, 0.500, 0.743)
O (0.631, 0.000, 0.999)
O (0.633, 0.332, 0.999)
O (0.633, 0.668, 0.999)
O (0.644, 0.165, 0.742)
O (0.644, 0.835, 0.742)
O (0.744, 0.500, 0.239)
O (0.745, 0.322, 0.495)
O (0.745, 0.678, 0.495)
O (0.747, 0.164, 0.239)
O (0.747, 0.836, 0.239)
O (0.757, 0.000, 0.500)

Largest 6 diffraction maxima, by angle, 10 to 90 degrees two-theta:
2θ = 19.71°, I 100; 2θ = 32.68°, I 21; 2θ = 32.82°, I 20; 2θ = 36.36°, I 32; 2θ = 39.85°, I 24; 2θ = 50.92°, I 19

---

(2)
# Li6Ti2O7
Simulated powder diffraction line list, a wavelength of 1.5418 Å. Input: a crystal structure in Alexandria, relaxed with PBE.
Peak positions follow from Bragg's law for the DFT cell and can differ from measured ones.

Cell and atoms:
a b c (Å): 5.813 5.813 9.794
angles (deg): 99.95 99.95 59.90
Sites, in units of the cell vectors:
Li (0.078, 0.329, 0.885)
Li (0.078, 0.793, 0.902)
Li (0.207, 0.922, 0.598)
Li (0.328, 0.529, 0.389)
Li (0.329, 0.078, 0.385)
- - -

== Done ==
For ZnSi2Au, a DFT-relaxed cell (PBE, Alexandria) gives the computed PXRD pattern in this record (a wavelength of 1.5418 Å).
Lines closer than 0.1° are merged.

Structure:
```
ZnSi2Au
1.0
4.0045 0.0000 0.0000
0.0000 4.1342 0.0000
0.0000 0.0000 7.6454
Zn Si Au
2 4 2
Direct
0.0000 0.0000 0.0000 Zn
0.5000 0.5000 0.0000 Zn
0.0000 0.0000 0.5093 Si
0.0000 0.5000 0.7568 Si
0.5000 0.0000 0.7568 Si
0.5000 0.5000 0.5093 Si
0.0000 0.5000 0.2567 Au
0.5000 0.0000 0.2567 Au
```

Principal peaks in the range 2θ from 15° to 90°, most intense first:
Position (°2θ), intensity
39.2, 100
33.3, 46
43.8, 18
45.3, 17
47.7, 15
47.6, 14

=====

For Zr4Pb, a DFT-relaxed cell (PBE, Alexandria) gives the computed PXRD pattern in this record (a wavelength of 1.5418 Å).
Lines closer than 0.1° are merged.

Structure:
```
Zr4Pb
1.0
-2.4841 3.0858 7.5035
2.4841 -3.0858 7.5035
2.4841 3.0858 -7.5035
Zr Pb
8 2
Direct
0.0000 0.0000 0.0000 Zr
0.2051 0.1974 0.0078 Zr
0.3104 0.8026 0.5078 Zr
0.3511 0.6011 0.7500 Zr
0.5000 0.0000 0.5000 Zr
0.6489 0.3989 0.2500 Zr
0.6896 0.1974 0.4922 Zr
0.7949 0.8026 0.9922 Zr
0.1405 0.3905 0.7500 Pb
0.8595 0.6095 0.2500 Pb
```

Principal peaks in the range 2θ from 15° to 90°, most intense first:
Position (°2θ), intensity
34.9, 100
34.7, 94
36.2, 47
37.7, 41
53.3, 30
71.3, 24

=====

For Cs2Rb6I, a DFT-relaxed cell (PBE, Alexandria) gives the computed PXRD pattern in this record (a wavelength of 1.5418 Å).
Lines closer than 0.1° are merged.

Structure:
```
Cs2Rb6I
1.0
5.1359 0.0000 0.0000
-2.5680 4.4478 0.0000
0.0000 0.0000 34.6113
Cs Rb I
2 6 1
Direct
0.0000 0.0000 0.1912 Cs
0.0000 0.0000 0.8088 Cs
0.0000 0.0000 0.4335 Rb
0.0000 0.0000 0.5665 Rb
0.6667 0.3333 0.0667 Rb
0.6667 0.3333 0.3156 Rb
0.6667 0.3333 0.6844 Rb
0.6667 0.3333 0.9333 Rb
0.6667 0.3333 0.5000 I
```

Principal peaks in the range 2θ from 15° to 90°, most intense first:
Position (°2θ), intensity
23.8, 100
34.9, 63
20.0, 43
21.4, 41
20.6, 38
40.9, 28

=====

(1)
# Li7Ti11O24
Simulated powder diffraction line list, a wavelength of 1.5418 Å. Input: a crystal structure in Alexandria, relaxed with PBE.
Peak positions follow from Bragg's law for the DFT cell and can differ from measured ones.

Cell and atoms:
a b c (Å): 5.081 8.866 9.734
angles (deg): 90.00 90.28 90.00
Sites, in units of the cell vectors:
Li (0.000, 0.000, 0.000)
Li (0.001, 0.332, 0.996)
Li (0.001, 0.668, 0.996)
Li (0.377, 0.340, 0.503)
Li (0.377, 0.660, 0.503)
Li (0.384, 0.000, 0.500)
Li (0.919, 0.500, 0.613)
Ti (0.417, 0.000, 0.823)
Ti (0.426, 0.335, 0.818)
Ti (0.426, 0.665, 0.818)
Ti (0.456, 0.500, 0.106)
Ti (0.462, 0.169, 0.106)
Ti (0.462, 0.831, 0.106)
Ti (0.919, 0.176, 0.605)
Ti (0.919, 0.824, 0.605)
Ti (0.953, 0.337, 0.331)
Ti (0.953, 0.663, 0.331)
Ti (0.957, 0.000, 0.324)
O (0.154, 0.000, 0.675)
O (0.156, 0.168, 0.426)
O (0.156, 0.832, 0.426)
O (0.161, 0.318, 0.679)
O (0.161, 0.500, 0.413)
O (0.161, 0.682, 0.679)
O (0.226, 0.331, 0.173)
O (0.226, 0.669, 0.173)
O (0.229, 0.165, 0.928)
O (0.229, 0.500, 0.926)
O (0.229, 0.835, 0.928)
O (0.232, 0.000, 0.179)
O (0.611, 0.500, 0.743)
O (0.631, 0.000, 0.999)
O (0.633, 0.332, 0.999)
O (0.633, 0.668, 0.999)
O (0.644, 0.165, 0.742)
O (0.644, 0.835, 0.742)
O (0.744, 0.500, 0.239)
O (0.745, 0.322, 0.495)
O (0.745, 0.678, 0.495)
O (0.747, 0.164, 0.239)
O (0.747, 0.836, 0.239)
O (0.757, 0.000, 0.500)

Largest 6 diffraction maxima, by angle, 10 to 90 degrees two-theta:
2θ = 19.71°, I 100; 2θ = 32.68°, I 21; 2θ = 32.82°, I 20; 2θ = 36.36°, I 32; 2θ = 39.85°, I 24; 2θ = 50.92°, I 19

---

(2)
# Li6Ti2O7
Simulated powder diffraction line list, a wavelength of 1.5418 Å. Input: a crystal structure in Alexandria, relaxed with PBE.
Peak positions follow from Bragg's law for the DFT cell and can differ from measured ones.

Cell and atoms:
a b c (Å): 5.813 5.813 9.794
angles (deg): 99.95 99.95 59.90
Sites, in units of the cell vectors:
Li (0.078, 0.329, 0.885)
Li (0.078, 0.793, 0.902)
Li (0.207, 0.922, 0.598)
Li (0.328, 0.529, 0.389)
Li (0.329, 0.078, 0.385)